**Material**
=====
Cs2AgF4: optimized geometry, PBE.

MP2020-corrected energy (eV/atom): -4.097
Energy relative to the elements (kcal/mol of atoms): -54.021
VASP energy (eV/f.u.): -26.83
Symmetry: Cmce (64)
Distance to the lowest polymorph of the same formula (eV/atom): 0.000

Cell: 7.9657 7.9657 6.5809 Å, 90.00 90.00 131.24°
Positions (direct):
Cs (0.6430, 0.3570, 0.0000)
Cs (0.8570, 0.1430, 0.5000)
Cs (0.3570, 0.6430, 0.0000)
Cs (0.1430, 0.8570, 0.5000)
Ag (0.0000, 0.0000, 0.0000)
Ag (0.5000, 0.5000, 0.5000)
F (0.8497, 0.1503, 0.0000)
F (0.6503, 0.3497, 0.5000)
F (0.1503, 0.8497, 0.0000)
F (0.3497, 0.6503, 0.5000)
F (0.2368, 0.2368, 0.2266)
F (0.7368, 0.7368, 0.2734)
F (0.2632, 0.2632, 0.7266)
F (0.7632, 0.7632, 0.7734)

~~~~~

A plane-wave DFT calculation with GGA-PBE was carried out for Ba2UTiTe7 after structural relaxation.

abc: 12.710 6.182 18.993
angles: 90.00 90.00 90.00
Sites, in units of the cell vectors:
Ba (0.055, 0.250, 0.223)
Ba (0.176, 0.250, 0.558)
Ba (0.324, 0.750, 0.058)
Ba (0.445, 0.750, 0.723)
Ba (0.555, 0.250, 0.277)
Ba (0.676, 0.250, 0.942)
Ba (0.824, 0.750, 0.442)
Ba (0.945, 0.750, 0.777)
U (0.207, 0.250, 0.877)
U (0.293, 0.750, 0.377)
U (0.707, 0.250, 0.623)
U (0.793, 0.750, 0.123)
Ti (0.000, 0.000, 0.000)
Ti (0.000, 0.500, 0.000)
Ti (0.500, 0.000, 0.500)
Ti (0.500, 0.500, 0.500)
Te (0.039, 0.750, 0.123)
Te (0.081, 0.502, 0.398)
Te (0.081, 0.998, 0.398)
Te (0.140, 0.750, 0.916)
Te (0.178, 0.250, 0.040)
Te (0.192, 0.002, 0.733)
Te (0.192, 0.498, 0.733)
Te (0.308, 0.502, 0.233)
Te (0.308, 0.998, 0.233)
Te (0.322, 0.750, 0.540)
Te (0.360, 0.250, 0.416)
Te (0.419, 0.002, 0.898)
Te (0.419, 0.498, 0.898)
Te (0.461, 0.250, 0.623)
Te (0.539, 0.750, 0.377)
Te (0.581, 0.502, 0.102)
Te (0.581, 0.998, 0.102)
Te (0.640, 0.750, 0.584)
Te (0.678, 0.250, 0.460)
Te (0.692, 0.002, 0.767)
Te (0.692, 0.498, 0.767)
Te (0.808, 0.502, 0.267)
Te (0.808, 0.998, 0.267)
Te (0.822, 0.750, 0.960)
Te (0.860, 0.250, 0.084)
Te (0.919, 0.002, 0.602)
Te (0.919, 0.498, 0.602)
Te (0.961, 0.250, 0.877)

Energy with MP2020 corrections (eV per atom): -5.3852
Magnetization (Bohr magnetons per cell): 0.048
Symmetry: Pnma
Final energy (eV per cell): -225.13
Energy relative to the elements (kJ per mole of atoms): -125

~~~~~

No. 1
This record from the Materials Project database describes an optimized crystal structure of Si6BiH54C18N4Cl. The functional is PBE-GGA.

Cell and atoms, written as CIF:
```
data_Si6BiH54C18N4Cl
_symmetry_space_group_name_H-M 'C 1 2/c 1'
_symmetry_Int_Tables_number 15
_symmetry_space_group_name_Hall '-C 2yc'
_cell_length_a 17.763
_cell_length_b 9.411
_cell_length_c 47.741
_cell_angle_alpha 90.00
_cell_angle_beta 90.37
_cell_angle_gamma 90.00
loop_
_atom_site_label
_atom_site_type_symbol
_atom_site_fract_x
_atom_site_fract_y
_atom_site_fract_z
Si1 Si 0.003 0.062 0.422
Si2 Si 0.092 0.298 0.046
Si3 Si 0.100 0.059 0.689
Si4 Si 0.143 0.260 0.201
Si5 Si 0.198 0.485 0.831
Si6 Si 0.212 0.034 0.566
Bi1 Bi 0.163 0.197 0.123
H1 H 0.002 0.290 0.197
H2 H 0.003 0.181 0.557
H3 H 0.004 0.057 0.283
H4 H 0.005 0.447 0.429
H5 H 0.006 0.092 0.130
H6 H 0.022 0.296 0.487
H7 H 0.030 0.110 0.797
H8 H 0.031 0.042 0.319
H9 H 0.041 0.239 0.386
H10 H 0.047 0.178 0.911
H11 H 0.048 0.451 0.206
H12 H 0.049 0.176 0.001
H13 H 0.049 0.390 0.171
H14 H 0.051 0.259 0.662
H15 H 0.053 0.176 0.589
H16 H 0.056 0.447 0.550
H17 H 0.061 0.362 0.997
H18 H 0.073 0.069 0.468
H19 H 0.075 0.479 0.853
H20 H 0.084 0.125 0.639
H21 H 0.088 0.073 0.381
H22 H 0.088 0.486 0.083
H23 H 0.093 0.225 0.449
H24 H 0.097 0.150 0.246
H25 H 0.107 0.263 0.722
H26 H 0.111 0.476 0.790
H27 H 0.118 0.146 0.534
H28 H 0.123 0.317 0.860
H29 H 0.126 0.102 0.740
H30 H 0.133 0.060 0.439
H31 H 0.133 0.323 0.252
H32 H 0.137 0.282 0.323
H33 H 0.144 0.474 0.879
H34 H 0.149 0.239 0.656
H35 H 0.150 0.305 0.796
H36 H 0.150 0.460 0.442
H37 H 0.167 0.008 0.516
H38 H 0.174 0.380 0.925
H39 H 0.176 0.254 0.592
H40 H 0.190 0.397 0.961
H41 H 0.193 0.437 0.025
H42 H 0.196 0.178 0.247
H43 H 0.197 0.182 0.720
=====

**Exercise**
Give back the whole of the block further up without additions, please.

**Completed**
Cs2AgF4: optimized geometry, PBE.

MP2020-corrected energy (eV/atom): -4.097
Energy relative to the elements (kcal/mol of atoms): -54.021
VASP energy (eV/f.u.): -26.83
Symmetry: Cmce (64)
Distance to the lowest polymorph of the same formula (eV/atom): 0.000

Cell: 7.9657 7.9657 6.5809 Å, 90.00 90.00 131.24°
Positions (direct):
Cs (0.6430, 0.3570, 0.0000)
Cs (0.8570, 0.1430, 0.5000)
Cs (0.3570, 0.6430, 0.0000)
Cs (0.1430, 0.8570, 0.5000)
Ag (0.0000, 0.0000, 0.0000)
Ag (0.5000, 0.5000, 0.5000)
F (0.8497, 0.1503, 0.0000)
F (0.6503, 0.3497, 0.5000)
F (0.1503, 0.8497, 0.0000)
F (0.3497, 0.6503, 0.5000)
F (0.2368, 0.2368, 0.2266)
F (0.7368, 0.7368, 0.2734)
F (0.2632, 0.2632, 0.7266)
F (0.7632, 0.7632, 0.7734)

~~~~~

A plane-wave DFT calculation with GGA-PBE was carried out for Ba2UTiTe7 after structural relaxation.

abc: 12.710 6.182 18.993
angles: 90.00 90.00 90.00
Sites, in units of the cell vectors:
Ba (0.055, 0.250, 0.223)
Ba (0.176, 0.250, 0.558)
Ba (0.324, 0.750, 0.058)
Ba (0.445, 0.750, 0.723)
Ba (0.555, 0.250, 0.277)
Ba (0.676, 0.250, 0.942)
Ba (0.824, 0.750, 0.442)
Ba (0.945, 0.750, 0.777)
U (0.207, 0.250, 0.877)
U (0.293, 0.750, 0.377)
U (0.707, 0.250, 0.623)
U (0.793, 0.750, 0.123)
Ti (0.000, 0.000, 0.000)
Ti (0.000, 0.500, 0.000)
Ti (0.500, 0.000, 0.500)
Ti (0.500, 0.500, 0.500)
Te (0.039, 0.750, 0.123)
Te (0.081, 0.502, 0.398)
Te (0.081, 0.998, 0.398)
Te (0.140, 0.750, 0.916)
Te (0.178, 0.250, 0.040)
Te (0.192, 0.002, 0.733)
Te (0.192, 0.498, 0.733)
Te (0.308, 0.502, 0.233)
Te (0.308, 0.998, 0.233)
Te (0.322, 0.750, 0.540)
Te (0.360, 0.250, 0.416)
Te (0.419, 0.002, 0.898)
Te (0.419, 0.498, 0.898)
Te (0.461, 0.250, 0.623)
Te (0.539, 0.750, 0.377)
Te (0.581, 0.502, 0.102)
Te (0.581, 0.998, 0.102)
Te (0.640, 0.750, 0.584)
Te (0.678, 0.250, 0.460)
Te (0.692, 0.002, 0.767)
Te (0.692, 0.498, 0.767)
Te (0.808, 0.502, 0.267)
Te (0.808, 0.998, 0.267)
Te (0.822, 0.750, 0.960)
Te (0.860, 0.250, 0.084)
Te (0.919, 0.002, 0.602)
Te (0.919, 0.498, 0.602)
Te (0.961, 0.250, 0.877)

Energy with MP2020 corrections (eV per atom): -5.3852
Magnetization (Bohr magnetons per cell): 0.048
Symmetry: Pnma
Final energy (eV per cell): -225.13
Energy relative to the elements (kJ per mole of atoms): -125

~~~~~

No. 1
This record from the Materials Project database describes an optimized crystal structure of Si6BiH54C18N4Cl. The functional is PBE-GGA.

Cell and atoms, written as CIF:
```
data_Si6BiH54C18N4Cl
_symmetry_space_group_name_H-M 'C 1 2/c 1'
_symmetry_Int_Tables_number 15
_symmetry_space_group_name_Hall '-C 2yc'
_cell_length_a 17.763
_cell_length_b 9.411
_cell_length_c 47.741
_cell_angle_alpha 90.00
_cell_angle_beta 90.37
_cell_angle_gamma 90.00
loop_
_atom_site_label
_atom_site_type_symbol
_atom_site_fract_x
_atom_site_fract_y
_atom_site_fract_z
Si1 Si 0.003 0.062 0.422
Si2 Si 0.092 0.298 0.046
Si3 Si 0.100 0.059 0.689
Si4 Si 0.143 0.260 0.201
Si5 Si 0.198 0.485 0.831
Si6 Si 0.212 0.034 0.566
Bi1 Bi 0.163 0.197 0.123
H1 H 0.002 0.290 0.197
H2 H 0.003 0.181 0.557
H3 H 0.004 0.057 0.283
H4 H 0.005 0.447 0.429
H5 H 0.006 0.092 0.130
H6 H 0.022 0.296 0.487
H7 H 0.030 0.110 0.797
H8 H 0.031 0.042 0.319
H9 H 0.041 0.239 0.386
H10 H 0.047 0.178 0.911
H11 H 0.048 0.451 0.206
H12 H 0.049 0.176 0.001
H13 H 0.049 0.390 0.171
H14 H 0.051 0.259 0.662
H15 H 0.053 0.176 0.589
H16 H 0.056 0.447 0.550
H17 H 0.061 0.362 0.997
H18 H 0.073 0.069 0.468
H19 H 0.075 0.479 0.853
H20 H 0.084 0.125 0.639
H21 H 0.088 0.073 0.381
H22 H 0.088 0.486 0.083
H23 H 0.093 0.225 0.449
H24 H 0.097 0.150 0.246
H25 H 0.107 0.263 0.722
H26 H 0.111 0.476 0.790
H27 H 0.118 0.146 0.534
H28 H 0.123 0.317 0.860
H29 H 0.126 0.102 0.740
H30 H 0.133 0.060 0.439
H31 H 0.133 0.323 0.252
H32 H 0.137 0.282 0.323
H33 H 0.144 0.474 0.879
H34 H 0.149 0.239 0.656
H35 H 0.150 0.305 0.796
H36 H 0.150 0.460 0.442
H37 H 0.167 0.008 0.516
H38 H 0.174 0.380 0.925
H39 H 0.176 0.254 0.592
H40 H 0.190 0.397 0.961
H41 H 0.193 0.437 0.025
H42 H 0.196 0.178 0.247
H43 H 0.197 0.182 0.720